grocery stores mandatory "courtesy"
cathy wrote:
Between two parts of the text: records of molecules:
'''
[1]
14
Properties=species:S:1:pos:R:3 method="wB97M-V/def2-TZVPD" smiles="C=P(N)=C=[N+]=NC" total_charge=+1 gap_ev=7.665
C -0.021 0.229 -2.744
P 0.828 -0.031 -1.381
N 2.280 -0.845 -1.573
C 0.194 -0.728 0.054
N -0.322 -0.310 1.092
N -0.476 0.124 2.193
C -1.672 0.496 2.902
H 0.466 0.128 -3.717
H -1.069 0.765 -2.707
H 2.872 -1.035 -0.800
H 2.588 -0.758 -2.567
H -2.584 0.239 2.469
H -1.581 1.539 2.846
H -1.504 0.187 3.933

=====

[2]
14
Properties=species:S:1:pos:R:3 method="wB97M-V/def2-TZVPD" total_charge=0 gap_ev="7.589 / 7.587"
C -0.168 -0.656 -0.317
C 1.025 0.103 -0.089
C -1.290 -0.965 0.688
N 3.388 0.733 0.369
N -1.583 -0.364 -0.548
N -2.171 0.871 -0.550
S 2.576 -0.458 -0.262
H -0.084 -1.509 -1.007
H 0.818 1.039 0.412
H -1.651 -1.887 1.039
H -1.342 -0.188 1.375
H 4.375 0.631 0.193
H -2.266 1.205 -1.427
H -1.628 1.445 0.124

=====

[3]
14
Properties=species:S:1:pos:R:3 method="wB97M-V/def2-TZVPD" total_charge=0 gap_ev="7.281 / 7.297"
C -0.309 -1.081 -0.291
C -1.626 -1.387 -0.485
C 1.244 0.170 1.000
N 0.069 0.082 0.192
N -1.838 1.010 0.476
N -1.713 1.687 -0.672
S -2.695 -0.376 0.460
H 0.425 -1.858 -0.504
H -2.000 -2.235 -1.018
H 1.817 -0.763 1.005
H 1.881 0.981 0.639
H 0.957 0.393 2.029
H -1.759 1.162 -1.546
H -0.928 2.325 -0.638

=====

[4]
14
Properties=species:S:1:pos:R:3 method="wB97M-V/def2-TZVPD" total_charge=0 gap_ev="8.048 / 7.725"
C 0.355 0.467 0.285
C 1.793 -0.168 0.009
C -0.529 -0.392 1.066
N 0.125 1.501 -0.368
N -2.517 0.691 -0.382
N 1.365 -1.222 -0.738
S -1.985 -0.806 -0.045
H 2.328 0.795 -0.359
H 2.139 -0.717 0.909
H -0.061 -1.461 1.259
H -0.795 0.148 2.039
H -0.859 1.862 -0.595
H -2.775 0.581 -1.347
H 1.415 -1.279 -1.732

=====

[5]
14
Properties=species:S:1:pos:R:3 method="wB97M-V/def2-TZVPD" total_charge=0 gap_ev=8.809
H 1.617 0.141 -1.977
N 1.579 0.459 -1.038
C 0.533 0.040 -0.364
C -0.445 -0.990 -0.798
N -1.752 -0.560 -0.408
N 0.248 0.485 0.906
C 1.152 1.231 1.624
S 0.830 1.715 3.109
H -0.190 -1.947 -0.320
H -0.398 -1.052 -1.893
H -2.412 -1.350 -0.347
H -2.209 0.200 -0.927
H -0.664 0.281 1.339
H 2.112 1.346 1.095

=====

[6]
14
Properties=species:S:1:pos:R:3 method="wB97M-V/def2-TZVPD" total_charge=0 gap_ev=8.987
C -1.679 -1.014 0.949
N -1.888 -0.501 -0.432
C -1.277 0.596 -0.904
N -0.441 1.383 -0.327
C 0.393 1.127 0.755
N 1.401 0.365 0.859
S 1.750 -0.627 -0.510
H -2.449 -1.753 1.095
H -0.661 -1.494 1.038
H -1.763 -0.173 1.681
H -2.530 -0.963 -1.031
H -1.664 0.911 -1.883
H 0.145 1.751 1.639
H 2.803 -1.231 0.118

=====

[7]
14
Properties=species:S:1:pos:R:3 method="wB97M-V/def2-TZVPD" total_charge=0 gap_ev=9.653
C -1.025 -0.239 0.156
C -0.628 1.227 -0.102
C 0.067 -0.920 0.793
N -2.182 -0.629 -0.214
N 1.835 -0.906 -1.011
N 0.799 1.330 0.350
S 1.663 -0.131 0.364
H -0.843 1.494 -1.080
H -1.227 1.799 0.575
H -0.141 -1.057 1.790
H 0.256 -1.995 0.326
H -2.215 -1.598 -0.106
H 2.767 -0.861 -1.122
H 1.271 2.271 0.199

=====

[8]
14
Properties=species:S:1:pos:R:3 method="wB97M-V/def2-TZVPD" total_charge=0 gap_ev=8.691
C 0.656 0.567 1.960
'''
Back to the text:
> I suppose this is a pretty minor pet peeve, but it still ticks me off.
> I shop at Vons in the Los Angeles area (owned and run by Safeway).
> They have two store policies that I find irritating and hypocritical.
> The first is, the checker always asks you "do you need help out to
> your car", no matter what the size of your order. I've had them ask me
> that when all I bought was a half gallon of milk, or a single bag of
> potato chips.
I feel the same way about the enforced mandatory happiness at the big
box home store where they have to greet everyone. I am quite sure they
aren't really all that excited to see me buy a paint brush.
> Apparently it's store policy that they =have= to ask that question, no
> matter what the size of the customer's order. Aside from the
> ludicrousness of the question, I feel it's an insult to me - do I look
> so decrepit that they genuinely think I =need= help? And it's an
> insult to the checker - why can't the store trust their employees to
> use common sense - ask the question if there's a =large= order, or the
> customer is elderly and might need the help. Let the employee assess
> the situation. Its not rocket science. I've complained several times
> and have been told "it's company policy".
> The second thing that Vons does that ticks me off is this: when you
> pay by debit or credit card, the checker is required to call you by
> name when they hand you the receipt. So you have to wait while they
> stare at the receipt, and try and figure out how to pronounce your
> name. I find this fake "personalization" worse than just a generic
> "ma'am" or "sir". They don't know me from Adam, they are forced to do
> this, and the whole thing is so phony it makes me crazy. Again, I find
> it insulting, and I'm sure there are other people who genuinely don't
> want the checker announcing their name to everyone within earshot.
> Just imagine the reaction if you heard "Thank you, Ms. Longoria" or
> "Thank you, Mr, Laurie".
> None of the other markets I shop at do this. Anyone else have this
> kind of experience? (I think it's a policy for all Safeway stores).
> Like I said, I know in the greater scheme of things it's pretty minor,
> but I just can't help being irritated nearly every time I shop there.
> And yes, I =could= stop shopping there, but they carry things the
> other markets don't, and they occasionally have great sales on meat
> and poultry. Plus, they're they only market near me that carries milk
> in half-gallon wax paper containers, instead of the plastic jugs
> everyone else seems to have gone to. I find that my milk spoils a
> whole lot sooner in the plastic jugs.
> Cathy